Wanted =
Please work out how many lines further down have the word "La8" in them; a number is enough.

File =
Hf8SbH2: relaxed, PBE-GGA.

abc: 5.746 6.750 6.750
angles: 57.54 83.12 83.12
Positions (direct):
Hf (0.663, 0.190, 0.190)
Hf (0.306, 0.823, 0.369)
Hf (0.200, 0.369, 0.369)
Hf (0.800, 0.631, 0.631)
Hf (0.306, 0.369, 0.823)
Hf (0.694, 0.631, 0.177)
Hf (0.694, 0.177, 0.631)
Hf (0.337, 0.810, 0.810)
Sb (0.000, 0.000, 0.000)
H (0.315, 0.189, 0.189)
H (0.685, 0.811, 0.811)

Properties
- crystal system = monoclinic
- total magnetic moment (μB per cell) = 0.00
- final energy (eV per atom) = -8.26

=====

Hf6Sb2H: relaxed, PBE-GGA.

abc: 5.824 6.751 9.164
angles: 90.00 90.02 90.00
Positions (direct):
Sb (0.890, 0.401, 0.752)
Sb (0.110, 0.599, 0.248)
Sb (0.610, 0.901, 0.748)
Sb (0.390, 0.099, 0.252)
H (0.500, 0.500, 0.000)
H (0.000, 0.000, 0.500)
Hf (0.877, 0.707, 0.971)
Hf (0.376, 0.799, 0.028)
Hf (0.867, 0.981, 0.249)
Hf (0.124, 0.299, 0.472)
Hf (0.367, 0.519, 0.749)
Hf (0.876, 0.701, 0.528)
Hf (0.133, 0.019, 0.751)
Hf (0.123, 0.293, 0.029)
Hf (0.633, 0.481, 0.251)
Hf (0.623, 0.207, 0.529)
Hf (0.624, 0.201, 0.972)
Hf (0.377, 0.793, 0.471)

Properties
- crystal system = monoclinic
- total magnetic moment (μB per cell) = 0.00
- final energy (eV per atom) = -8.24

=====

Hf2SbH: relaxed, PBE-GGA.

abc: 3.409 3.409 7.133
angles: 76.17 76.17 60.00
Positions (direct):
Sb (0.655, 0.655, 0.036)
Hf (0.429, 0.429, 0.712)
Hf (0.212, 0.212, 0.363)
H (0.823, 0.823, 0.531)

Properties
- crystal system = trigonal
- total magnetic moment (μB per cell) = 0.00
- final energy (eV per atom) = -7.12
- relative energy among the computed polymorphs (eV/atom) = 0.000

=====

Please write out number 1 again, unchanged.
Hf8SbH2: relaxed, PBE-GGA.

abc: 5.746 6.750 6.750
angles: 57.54 83.12 83.12
Positions (direct):
Hf (0.663, 0.190, 0.190)
Hf (0.306, 0.823, 0.369)
Hf (0.200, 0.369, 0.369)
Hf (0.800, 0.631, 0.631)
Hf (0.306, 0.369, 0.823)
Hf (0.694, 0.631, 0.177)
Hf (0.694, 0.177, 0.631)
Hf (0.337, 0.810, 0.810)
Sb (0.000, 0.000, 0.000)
H (0.315, 0.189, 0.189)
H (0.685, 0.811, 0.811)

Properties
- crystal system = monoclinic
- total magnetic moment (μB per cell) = 0.00
- final energy (eV per atom) = -8.26

=====

Copy entry 1 word for word.
Hf8SbH2: relaxed, PBE-GGA.

abc: 5.746 6.750 6.750
angles: 57.54 83.12 83.12
Positions (direct):
Hf (0.663, 0.190, 0.190)
Hf (0.306, 0.823, 0.369)
Hf (0.200, 0.369, 0.369)
Hf (0.800, 0.631, 0.631)
Hf (0.306, 0.369, 0.823)
Hf (0.694, 0.631, 0.177)
Hf (0.694, 0.177, 0.631)
Hf (0.337, 0.810, 0.810)
Sb (0.000, 0.000, 0.000)
H (0.315, 0.189, 0.189)
H (0.685, 0.811, 0.811)

Properties
- crystal system = monoclinic
- total magnetic moment (μB per cell) = 0.00
- final energy (eV per atom) = -8.26

----------

(1)
# La4Ho4Er

A geometry-optimized La4Ho4Er structure (PBE, Alexandria via LeMat-Bulk).

Geometry as CIF:
```
data_La4Ho4Er
_chemical_formula_sum 'La8 Ho8 Er2'
_symmetry_space_group_name_H-M 'I 4/m m m'
_symmetry_Int_Tables_number 139
_symmetry_space_group_name_Hall '-I 4 2'
_cell_length_a 10.8450
_cell_length_b 10.8450
_cell_length_c 5.1317
_cell_angle_alpha 90.00
_cell_angle_beta 90.00
_cell_angle_gamma 90.00
loop_
_atom_site_label
_atom_site_type_symbol
_atom_site_fract_x
_atom_site_fract_y
_atom_site_fract_z
La1 La 0.1668 0.1668 0.0000
Ho1 Ho 0.0000 0.3362 0.5000
Er1 Er 0.0000 0.0000 0.5000
```

Calculated values
- Uncorrected energy: -4.7014 eV/atom
- Volume: 603.6 Å³/cell
- Calculated formation energy: 0.030 eV/atom
- Polymorph energy (0 for the lowest one): 0.0 meV/atom

***

(2)
# PuGa4Hg

A geometry-optimized PuGa4Hg structure (PBE, Alexandria via LeMat-Bulk).

Geometry as CIF:
```
data_PuGa4Hg
_chemical_formula_sum 'Pu4 Ga16 Hg4'
_symmetry_space_group_name_H-M 'F -4 3 m'
_symmetry_Int_Tables_number 216
_symmetry_space_group_name_Hall 'F -4 2 3'
_cell_length_a 7.9072
_cell_length_b 7.9072
_cell_length_c 7.9072
_cell_angle_alpha 90.00
_cell_angle_beta 90.00
_cell_angle_gamma 90.00
loop_
_atom_site_label
_atom_site_type_symbol
_atom_site_fract_x
_atom_site_fract_y
_atom_site_fract_z
Pu1 Pu 0.0000 0.0000 0.0000

Outcome =
1